Cryptobrewmaster Rewards of the Week 3 / Recompensas de la Semana en Cryptobrewmaster 3 [EN/ES]


Hello friends, this week has been excellent in the beer drinker event, 9 place means 20 ash, which are very good I will gather them until I see what use I give them, and excellent prizes, 2 row barley malt master type is incredible, really at this moment I do not know what value has each ingredient, because there are ingredients that really do not know how much they are worth and I do not know how often they buy them, but I do not worry I will keep most of the ingredients.

== These crystal structures were left in the page by mistake ==
____________
Record 1
# Er2Cu4Ni5

Crystalline Er2Cu4Ni5 at its relaxed geometry (PBE, the Alexandria database).

The value obtained for the energy is -56.66 eV/cell.

a b c (Å): 5.012 4.886 8.108
angles (deg): 80.88 72.00 59.14
Fractional coordinates of all 11 atoms:
Er  0.870  0.000  0.261
Cu  0.531  0.681  0.257
Ni  0.500  0.000  0.000
Er  0.130  0.000  0.739
Cu  0.788  0.681  0.743
Ni  0.500  0.500  0.000
Cu  0.212  0.319  0.257
Ni  0.000  0.500  0.000
Cu  0.469  0.319  0.743
Ni  0.250  0.500  0.500
Ni  0.750  0.500  0.500

Record 2
# LiMn3Br9

Crystalline LiMn3Br9 at its relaxed geometry (PBE, the Alexandria database).

The value obtained for the energy is -109.48 eV/cell. Its energy relative to the elements, uncorrected is -76 kJ per mole of atoms.

a b c (Å): 8.956 10.128 12.316
angles (deg): 76.90 68.68 63.76
Each line ends with the local moment (μB).
Fractional coordinates of all 26 atoms:
Br  0.041  0.873  0.237  0.02
Br  0.195  0.943  0.432  0.02
Br  0.431  0.443  0.932  0.02
Br  0.620  0.768  0.251  -0.02
Br  0.362  0.268  0.751  -0.02
Li  0.159  0.432  0.920  0.01
Mn  0.933  0.910  0.876  4.30
Br  0.086  0.576  0.545  0.01
Br  0.589  0.480  0.559  0.01
Mn  0.600  0.313  0.757  3.73
Br  0.805  0.050  0.712  0.04
Br  0.849  0.373  0.737  0.02
Br  0.793  0.076  0.045  0.01
Br  0.009  0.403  0.363  0.06
Mn  0.831  0.540  0.545  3.71
Br  0.513  0.175  0.403  0.06
Br  0.373  0.980  0.059  0.01
Br  0.646  0.795  0.577  0.03
Br  0.432  0.550  0.212  0.04
Br  0.982  0.295  0.077  0.03
Mn  0.281  0.410  0.376  4.30
Mn  0.084  0.040  0.045  3.71
Mn  0.330  0.813  0.257  3.73
Br  0.909  0.675  0.903  0.06
Br  0.225  0.903  0.863  0.06
Li  0.488  0.932  0.420  0.01

Record 3
# Hf2PPdO

Crystalline Hf2PPdO at its relaxed geometry (PBE, the Alexandria database).

The value obtained for the energy is -37.42 eV/cell. Its energy relative to the elements, uncorrected is -38 kJ per mole of atoms.

a b c (Å): 5.012 3.487 5.012
angles (deg): 90.00 90.00 90.00
Fractional coordinates of all 5 atoms:
Hf  0.000  0.000  0.500
Pd  0.500  0.500  0.500
O  0.000  0.500  0.000
Hf  0.500  0.000  0.000
P  0.000  0.000  0.000

Record 4
# Y6C2Se3O

Crystalline Y6C2Se3O at its relaxed geometry (PBE, the Alexandria database).

The value obtained for the energy is -91.26 eV/cell. Its energy relative to the elements, uncorrected is -150 kJ per mole of atoms.

a b c (Å): 3.746 7.830 8.688
angles (deg): 106.49 102.45 90.00
Fractional coordinates of all 12 atoms:
O  0.500  0.000  0.000
C  0.164  0.327  0.327
Se  0.164  0.833  0.329
Se  0.500  0.500  0.000
Se  0.836  0.167  0.671
Y  0.014  0.231  0.028
C  0.836  0.673  0.673
Y  0.323  0.444  0.647
Y  0.340  0.887  0.680
Y  0.986  0.769  0.972
Y  0.660  0.113  0.320
Y  0.677  0.556  0.353

Record 5
# Nb2Ni2Ag

Crystalline Nb2Ni2Ag at its relaxed geometry (PBE, the Alexandria database).

As for the energy above the most stable polymorph in this dataset: 188.4 meV/atom. The value obtained for the energy is -67.71 eV/cell.
____________
== The crystal structures stop here ==

Hola amigos, esta semana ha sido excelente en el evento beer drinker, 9 lugar significa 20 ash, que son muy buenas las reunire hasta ver que uso les doy, y excelentes premios, 2 row barley malt tipo master es increible, realmente en este momento no se que valor tiene cada ingrediente, porque hay ingredientes que realmente no se cuanto valen y no se cada cuanto tiempo los compran, pero no me preocupo guardare la mayoria de los ingredientes.



In the resource producer event I am in the ranking 10 I won several ingredients that are well I will keep them for the moment and I also won 10 ash, it's amazing to be getting ash in the process.

En el evento resource producer estoy en el ranking 10 gane varios ingredientes que estan bien los guardare por el momento y ademas gane 10 ash, es increible ir obteniendo ash en el proceso.



I was lucky because I was able to sell 40 local aroma hops neutral at 7 cbm each, I still don't know why they buy that ingredient at that price, I don't understand it yet, but in the meantime I will keep selling this ingredient as much as I can.

Tuve suerte porque pude vender 40 local aroma hops neutral en 7 cbm cada uno, no se aun porque compran ese ingrediente en ese precio, no lo entiendo aun, pero mientras me quedare vendiendo este ingrediente todo lo que pueda.

What comes next are records of crystals, not part of the piece >
~~~
The following is a PBE calculation of crystalline Ac3La4Er4 at its relaxed geometry, from Alexandria via LeMat-Bulk.

Summary:
Formation energy (eV/atom): 0.06
Uncorrected energy (eV for the cell shown): -49.6
Magnetization (Bohr magnetons per cell): 0.00

Cell lengths 3.6774, 5.8774, 18.9536 Å; angles 81.13, 84.41, 89.99 degrees
With the nearest neighbours (Å) after each atom.
Fractional coordinates of all 11 atoms:
Er (0.3171, 0.8170, 0.3654)  5 La 3.39-3.61, 2 Er 3.68
Er (0.5459, 0.5459, 0.9097)  3 Er 3.36-3.68, 2 La 3.42
Er (0.4541, 0.4542, 0.0902)  3 Er 3.36-3.68, 2 La 3.42
Er (0.6830, 0.1830, 0.6346)  5 La 3.39-3.61, 2 Er 3.68
La (0.4079, 0.9077, 0.1837)  3 Er 3.39-3.42, 2 La 3.68
La (0.2661, 0.2660, 0.4680)  4 Er 3.51-3.61, 6 La 3.66-3.68
La (0.7340, 0.7340, 0.5320)  4 Er 3.51-3.61, 6 La 3.66-3.68
La (0.5921, 0.0923, 0.8163)  3 Er 3.39-3.42, 2 La 3.68
Ac (0.1375, 0.6372, 0.7262)  2 Ac 3.68, 6 La 3.85-4.06, 6 Er 3.86-3.88
Ac (0.0000, 0.0000, 0.0000)  2 Ac 3.68, 8 Er 3.85-3.86, 4 La 3.89
Ac (0.8625, 0.3628, 0.2739)  2 Ac 3.68, 6 La 3.85-4.06, 6 Er 3.86-3.89

***

The following is a PBE calculation of crystalline MgZrCd3 at its relaxed geometry, from Alexandria via LeMat-Bulk.

Summary:
Formation energy (eV/atom): 0.15
Distance to the lowest polymorph of the same formula (meV/atom): 259
Uncorrected energy (eV for the cell shown): -24.3
Magnetization (Bohr magnetons per cell): 0.00

Cell lengths 5.1648, 6.0035, 8.5160 Å; angles 110.64, 107.69, 90.00 degrees
With the nearest neighbours (Å) after each atom.
Fractional coordinates of all 10 atoms:
Cd (0.4097, 0.6588, 0.3176)  2 Cd 2.96-2.97, 3 Mg 3.01-3.02, 3 Zr 3.04-3.12
Cd (0.1999, 0.9506, 0.9012)  3 Mg 2.87-2.93, 3 Cd 2.95-2.99, 2 Zr 3.00
Cd (0.0056, 0.7551, 0.5102)  5 Cd 2.95-3.01, 2 Mg 3.02-3.03, 1 Zr 3.20
Cd (0.9944, 0.2449, 0.4898)  5 Cd 2.95-3.01, 2 Mg 3.02-3.03, 1 Zr 3.20
Cd (0.8001, 0.0494, 0.0988)  3 Mg 2.87-2.93, 3 Cd 2.95-2.99, 2 Zr 3.00
Cd (0.5903, 0.3412, 0.6824)  2 Cd 2.96-2.97, 3 Mg 3.01-3.02, 3 Zr 3.04-3.12
Zr (0.2067, 0.4573, 0.9147)  2 Zr 2.88-2.89, 6 Cd 3.00-3.20
Zr (0.7933, 0.5427, 0.0853)  2 Zr 2.88-2.89, 6 Cd 3.00-3.20
Mg (0.3916, 0.1407, 0.2814)  8 Cd 2.87-3.03
Mg (0.6084, 0.8593, 0.7186)  8 Cd 2.87-3.03

***

The following is a PBE calculation of crystalline Ce2Zn2In3 at its relaxed geometry, from Alexandria via LeMat-Bulk.

Summary:
Formation energy (eV/atom): -0.23
Distance to the lowest polymorph of the same formula (meV/atom): 48
Uncorrected energy (eV for the cell shown): -24.3
Magnetization (Bohr magnetons per cell): 2.39

Cell lengths 4.8630, 3.2795, 10.9407 Å; angles 90.00, 77.16, 90.00 degrees
With the nearest neighbours (Å) after each atom.
Fractional coordinates of all 7 atoms:
Ce (0.8624, 0.5000, 0.2752)  4 Zn 3.26, 2 Ce 3.28, 8 In 3.33-3.61
Ce (0.1376, 0.5000, 0.7248)  4 Zn 3.26, 2 Ce 3.28, 8 In 3.33-3.61
Zn (0.4288, 0.0000, 0.1426)  3 In 2.87-2.99, 1 Zn 3.04
Zn (0.5712, 0.0000, 0.8574)  3 In 2.87-2.99, 1 Zn 3.04
~~~


By the way, I am currently selling my brewing water neutral at 1 cbm each so I can start raising the cbm and it is working just like the local aroma hops neutral I was selling it at 8 cbm and now I am selling it at 7 cbm I always test the market if I see that, they buy my ingredients fast at that price, well I sell them.

Por cierto, actualmente estoy vendiendo mis brewing water neutral en 1 cbm cada uno para poder empezar a subir el cbm y esta funcionando igual que el local aroma hops neutral lo vendia en 8 cbm y ahora lo estoy vendiendo en 7 cbm siempre pruebo el mercado si veo que, compran rapido mis ingredientes en ese precio, pues los vendo.


Translated with!


0.612 NEOXAG